Chapter and Organization Bylaws

Bylaws of the

Beta Gamma Epsilon

Phi Theta Kappa
Honor Society



ARTICLE 1.  Name of Chapter

    The name of this chapter of Phi Theta Kappa shall be Beta Gamma Epsilon.  (Assigned by Headquarters upon approval of chartering application.)


ARTICLE 2.  Purpose

The purpose of the Beta Gamma Epsilon Chapter of Phi Theta
Kappa at Stark State College shall be the promotion of scholarship, the
development of leadership and service, and the cultivation of fellowship among
qualified students of this college.


ARTICLE 3.  Membership

           Section 1.        Membership in Beta Gamma Epsilon chapter shall consist of member, provisional member, alumni member, and honorary members.


A.   Member.  Each eligible candidate who receives an invitation for membership must have completed 12 semester hours of associate degree course work, with a cumulative Grade Point Average of 3.50 adhere to the school conduct code and possess recognized qualities of citizenship.  Grades from courses at other institutions will not be considered when determining membership eligibility.  A cumulative GPA
of 3.20 must be maintained after induction to remain in good standing.  When a member’s cumulative GPA falls below 3.20, that member
 has two semesters in which to bring the average to 3.20.  Failure to raise the cumulative GPA to 3.20 after two semesters will result in removal of the student’s name from the local chapter roll and the Phi Theta Kappa Headquarters’ International roll.  Once the student’s name is stricken from the roll, all membership privileges shall be revoked.

                     B.     Provisional Member.  A provisional member of Phi Theta Kappa is a                                   student, who, in the opinion of the local chapter, has shown an active                                   interest in the affairs of the Society and who serves the Society in some                             special capacity, but who does not meet the full requirements for                                         membership in the Society.  Chapter requirements for admission as                                     a provisional member shall be academic excellence as defined by a GPA                             of 3.50 on all credits taken in high school.  In order to qualify for                                           provisional membership status, a student must be enrolled in associate                             degree course work at the two-year college, adhere to school conduct                                 code and possess recognized qualities of citizenship.  Provisional                                       members will not be officially affiliated with the Phi Theta Kappa                                           Society, cannot hold office and cannot vote on chapter, regional or                                       international matters. Provisional members will pay local chapter dues                               of $15.00, but are not required to pay the international and regional                                     induction fee until they have qualified for full membership.

C.     Alumni Member.  Alumni members shall be
members of the Society who are no longer enrolled in the two-year college and/or who have terminated their active membership in good standing, with a minimum of one year’s enrollment at the two-year college. Alumni members shall be entitled to all the privileges of full members except the right to vote or to hold office.

The purpose of the chapter alumni is to support the chapter officers, chapter members, chapter programs and chapter priorities in relation to the hallmarks of the Phi Theta Kappa Society. Alumni have valuable
contributions to make to Phi Theta Kappa at all levels however, the leadership roles of alumni are to be viewed within the context of support. Through alumni support, the integrity of the Society’s programs and service will be protected and new programs and services can be developed and offered in the future.

Alumni of Beta Gamma Epsilon Chapter of Phi Theta Kappa
Honor Society shall abide by the following code of conduct:

1.     During Phi Theta Kappa functions, I will conduct myself
at all times in a manner that reflects positively upon myself, the Society, and Stark State College.

2.     I am committed to maintaining an environment, which
recognizes the dignity of each individual and encourages appreciation of diverse backgrounds, opinions, and goals in life.

3.     I am committed to honesty and integrity in personal,
social, and academic endeavors.

4.     I will respond promptly, courteously, positively, and
respectfully, to the concerns and request of all Advisors, Officers, Committee Chairpersons, and Members of the Society.

5.     I will conduct myself in a manner which is respectful
of others and worthy of respect from others.

6.     I will dress appropriately during Phi Theta Kappa


D.    Honorary Member.  Honorary membership may be granted in this chapter to men and women who have rendered distinguished service to the Society.  Honorary members may not vote or hold office nor must they be officially inducted or pay membership fees.


Section 2.  Special Membership Considerations


A.    Returning Students – If a student has not been enrolled at Stark State College for an extended period, grades from course work over five years old need not be considered in membership candidacy.


B.      Transferring Students – A member from another Phi Theta Kappa chapter may transfer membership to the Beta Gamma Epsilon Chapter if that member is currently enrolled at Stark State College and meets the maintenance GPA of 3.2 set by the chapter.


ARTICLE 4.  Chapter Advisor

The Chapter Advisor shall:


A.   Be appointed by the administration of Stark State


B.    Be responsible for the guidance of chapter activities
and shall act on behalf of the International Society and official college


C.    Be responsible for the completion and submission of the
Annual Report, Membership Report Forms and Membership Profile Forms required by
the Phi Theta Kappa Society Headquarters;


D.   Sign and complete payment requisitions from the
Chapter’s account, which is handled by the College’s Comptroller.  The Comptroller reports the financial status
of the chapter to the advisor;


Be responsible for the invitation of all eligible students
and for their orientation;


Be responsible for submission of International and
Regional membership dues; and


Not be a voting member of the chapter.


ARTICLE 5.  Officers


Section 1.        All officers must be members of Phi Theta Kappa, in good standing, have a cumulative Grade Point Average of 3.20 and be currently enrolled as a student at Stark State College.


Section 2.        The Beta Gamma Epsilon Chapter of Phi Theta Kappa shall have the following officers:  President, Vice President, Recording Secretary/Newsletter Editor, Treasurer, Web Master, and Chapter
Engagement Officer.


A.   The President shall:

1.      Preside over all business meetings.

2.      Appoint and establish any necessary committees.

3.      Vote only in case of a tie.

4.      Serve as an ex-officio member of all committees.

5.      Present business to the organization.

6.      Represent the organization at all times.

7.      Appoint a committee to review and/or revise the chapter constitution annually in conjunction with the advisor.

8.      Appoint a committee to work with the advisor to prepare the Annual Report to be sent to Headquarters each spring.


B.    The Vice President shall:

1.      Perform all duties of the president in the event of the president’s absence.

2.      Head the committee reviewing the chapter constitution and the annual report.

3.      Act as program chair.

4.      Submit online to Regional Coordinator and Headquarters reports of chapter activities and Five Star Chapter Update Forms.

5.      Coordinate Chapter activities relating to the Honors in Action Hallmark.

6.      Coordinate Chapter activities related to the College Project Hallmark.

7.     Coordinate nominations and election of new officers.


C. The Secretary/Newsletter Editor Shall:

1.     Take and read minutes of meetings.

-- begin --
[1]
! PaInCu2, relaxed, DFT meta-GGA r2SCAN; values from VASP
! - Formation enthalpy at 0 K: -0.10 eV per atom
! - Space-group type: Fm-3m
! - Raw total energy: -30.384 eV/atom
! - M_tot: 0.000 μB/atom
&SYSTEM
  ibrav = 0, nat = 4, ntyp = 3
/
ATOMIC_SPECIES
Pa 231.04 Pa.upf
In 114.82 In.upf
Cu 63.55 Cu.upf
CELL_PARAMETERS angstrom
0.000 3.318 3.318
3.318 0.000 3.318
3.318 3.318 0.000
ATOMIC_POSITIONS crystal
Pa 0.000 0.000 0.000
In 0.500 0.500 0.500
Cu 0.250 0.250 0.250
Cu 0.750 0.750 0.750


[2]
! LiYSe2, relaxed, DFT meta-GGA r2SCAN; values from VASP
! - Formation enthalpy at 0 K: -1.95 eV per atom
! - Space-group type: I4_1/amd
! - Raw total energy: -14.784 eV/atom
! - M_tot: 0.000 μB/atom
&SYSTEM
  ibrav = 0, nat = 8, ntyp = 3
/
ATOMIC_SPECIES
Li 6.94 Li.upf
Y 88.91 Y.upf
Se 78.96 Se.upf
CELL_PARAMETERS angstrom
-2.839 2.839 5.767
2.839 -2.839 5.767
2.839 2.839 -5.767
ATOMIC_POSITIONS crystal
Li 0.375 0.625 0.750
Li 0.625 0.375 0.250
Y 0.125 0.875 0.250
Y 0.875 0.125 0.750
Se 0.122 0.372 0.750
Se 0.372 0.122 0.250
Se 0.628 0.878 0.750
Se 0.878 0.628 0.250


[3]
! Er5C2Br9, relaxed, DFT meta-GGA r2SCAN; values from VASP
! - Formation enthalpy at 0 K: -1.83 eV per atom
! - Space-group type: P2_1/c
! - Raw total energy: -21.129 eV/atom
! - M_tot: 0.000 μB/atom
&SYSTEM
  ibrav = 0, nat = 64, ntyp = 3
/
ATOMIC_SPECIES
Er 167.26 Er.upf
C 12.01 C.upf
Br 79.90 Br.upf
CELL_PARAMETERS angstrom
9.948 0.000 0.000
0.000 16.264 0.000
-6.993 0.000 11.276
ATOMIC_POSITIONS crystal
Er 0.009 0.057 0.263
Er 0.009 0.443 0.763
Er 0.010 0.661 0.720
Er 0.010 0.839 0.220
Er 0.163 0.039 0.034
Er 0.163 0.461 0.534
Er 0.210 0.687 0.554
Er 0.210 0.813 0.054
Er 0.357 0.559 0.811
Er 0.357 0.941 0.311
Er 0.643 0.059 0.689
Er 0.643 0.441 0.189
Er 0.790 0.187 0.946
Er 0.790 0.313 0.446
Er 0.837 0.539 0.466
Er 0.837 0.961 0.966
Er 0.990 0.161 0.780
Er 0.990 0.339 0.280
Er 0.991 0.557 0.237
Er 0.991 0.943 0.737
C 0.073 0.529 0.669
C 0.073 0.971 0.169
C 0.126 0.589 0.618
C 0.126 0.911 0.118
C 0.874 0.089 0.882
C 0.874 0.411 0.382
C 0.927 0.029 0.831
C 0.927 0.471 0.331
Br 0.084 0.201 0.173
Br 0.084 0.299 0.673
Br 0.090 0.066 0.653
Br 0.090 0.434 0.153
Br 0.094 0.692 0.140
Br 0.094 0.808 0.640
Br 0.285 0.172 0.969
Br 0.285 0.328 0.469
Br 0.300 0.571 0.441
Br 0.300 0.929 0.941
Br 0.302 0.682 0.938
Br 0.302 0.818 0.438
Br 0.321 0.058 0.460
Br 0.321 0.442 0.960
Br 0.469 0.062 0.237
Br 0.469 0.438 0.737
Br 0.497 0.183 0.748
Br 0.497 0.317 0.248
Br 0.503 0.683 0.752
Br 0.503 0.817 0.252
Br 0.531 0.562 0.263
Br 0.531 0.938 0.763
Br 0.679 0.558 0.040
Br 0.679 0.942 0.540
Br 0.698 0.182 0.562
Br 0.698 0.318 0.062
Br 0.700 0.071 0.059
Br 0.700 0.429 0.559
Br 0.715 0.672 0.531
Br 0.715 0.828 0.031
Br 0.906 0.192 0.360
Br 0.906 0.308 0.860
Br 0.910 0.566 0.847
Br 0.910 0.934 0.347
Br 0.916 0.701 0.327
Br 0.916 0.799 0.827


[4]
! EuMoO4, relaxed, DFT meta-GGA r2SCAN; values from VASP
! - Formation enthalpy at 0 K: -2.80 eV per atom
! - Space-group type: I4_1/a
-- stop --

2.     Maintain records of the meetings.

3.     Take roll at the meetings.

4.     Prepare articles for newsletter (i.e. get articles submitted by others, etc.)

5.     Complete newsletter to be published quarterly. Spring, Summer, Fall, and Winter Issues

6.     Coordinate with Web Master for posting events on website.



C.    The Treasurer shall:

1.      Coordinate all fund raising activities.

2.      Consult with advisor to maintain a financial account for the Chapter.

3.      Receive all money and deposit in account at the College.

4.      Present the Chapter’s financial records at business meetings.

5.      File all financial records in the Chapter’s official file with the Business Office at the College.

D.   The Web Master shall:

1.      Maintain and update website.

2.      Communicate with the Ohio Phi Theta Kappa website with Chapter events.

3.      Communicate with International Headquarters as needed.

4.      Keep records of Chapter events (dates, times, events, brief description, results).


F. The Chapter Engagement Officer Shall:

1.     Coordinate representation of the organization on campus and during PTK events.


2.     Perform all duties of the Vice President in the event of their absence.


3.     Responsible for promoting and coordinating publicity for all PTK chapter events, in-person service, and fellowship activities.


4.     Assist and facilitate in the distribution of chapter event information through PTK tables and bulletin boards.


5.     Correspond with interested members to encourage more active participation.




Section 3.        Alumni Liaison


The Alumni Liaison will be appointed by the current chapter officer
team based on recommendation(s) from chapter advisor and provide a bridge between the chapter and chapter alumni as well as Alpha of Ohio, the Ohio Region Alumni Association.  This position
will serve in a supportive role relative to major decision-making (ideas, advice, etc.).  The Alumni Liaison will not have voting rights however will be considered a part of the serving officer

The duties of the Alumni Liaison shall be to act as spokesperson for the alumni within the chapter, and to ensure that proper procedures are followed with regard to university and Phi Theta Kappa policy.  The Alumni Liaison should not be considered as an active leader within the chapter officer team however, they can take on an advisory role within formed committees that support the mission of the chapter.  As such, the Alumni Liaison can and should offer ideas and suggestions for the Hallmark Awards but should not write any of the Hallmarks.



          ARTICLE 6.  Election of Officers

          Section 1.        All candidates for office must be members of Phi Theta Kappa, in                                     good standing.


Section 2.        Elections should be held at the meeting before the new officers take over after the Spring Induction Ceremony of each year.


Section 3.        Officers shall hold office from the time of their inauguration, which shall be at the first meeting following the election, to the time of the next inauguration.


Section 4.        Nominations from the floor can be made at the same meeting as the election.


Section 5.        A simple majority vote shall elect any officer.


Section 6.        In any case, when an officer must resign office, an election shall be held to elect a new officer.  Nominations shall be made from the floor and will be made at the first meeting following the resignation of
the officer.  The election will be held at the first meeting following nominations. Plurality of the votes cast will determine the new officer.  The president shall have the power to make a temporary appointment until a meeting can be held.



ARTICLE 7.  Resignation or Impeachment of Officers


Section 1.        If an officer is unable to fulfill their responsibilities they may resign, or be asked to resign from their role.  They may still be a member in good standing within the chapter provided they fulfill the necessary requirements of a member in good standing.



Section 2.        If an officer fails to fulfill the duties of their office, the individual may be impeached as follows:

A.   A special meeting of the chapter must be held to discuss the problem.

B.    Only the issues related to the calling of the special meeting may be

C.    A quorum totaling the officers, minus the president, and members in attendance at the special meeting shall be the voting delegation for removal of office.

D.   A vote of ¾ (three fourths) of the quorum is sufficient to remove an officer from office.

E.    The president shall only vote in the case where one vote is needed to reach the ¾ (three fourths) of the quorum required.

Section 3.        Any officer may be removed from office by a two-thirds majority of all Beta Gamma Epsilon officers due to disruptive behavior, violation of the conduct code or by not attending three (2) or more meetings in a given term without an excused absence by an advisor.


ARTICLE 8.  Meetings Section

1.        All business meetings will follow the general agenda:

                                                Order of Business

a.       Call to order

b.      Roll call

c.       Reading of the minutes

d.      Treasurer’s report

e.       Committee reports

f.       Old business

g.      New business

h.      Announcements

i.       Adjournment


Section 2.        A quorum shall consist of a majority of the officers plus the number of members in attendance, after proper notification (one week), at each meeting.


Section 3.        All meetings shall be governed by an adaption of Robert’s Rules of Order.


Section 4.        Committee meetings shall be called by the chair of said committee. Procedures at such meetings are left to the discretion of the chair provided the Code of Conduct is not broken. Reports of each meeting shall be given to the members at the following chapter meeting.



ARTICLE 9.  Conduct Policy

Section 1.        Members of Beta Gamma Epsilon Chapter of Phi Theta Kappa Honor Society shall abide by the following code of conduct:


A.   During Phi Theta Kappa functions, I will conduct myself at all times in a manner that reflects positively upon myself, the Society, and Stark State College.


B.    I am committed to maintaining an environment which
recognizes the dignity of each individual member and encourages appreciation of
diverse backgrounds, opinions, and goals in life.


C.    I am committed to honesty and integrity in personal,
social, and academic endeavors.


D.   I will respond promptly, courteously, positively, and
respectfully, to the concerns and request of all Advisors, Officers, Committee
Chairpersons, and Members of the Society.


E.    I will fulfill my responsibilities to the Society in an
effective, efficient, and timely manner.


F.     I will conduct myself in a manner which is respectful
of others and worthy of respect from others.


G.   I will dress appropriately during Phi Theta Kappa


           Section 2.        If formal disciplinary action is taken by the College due to                                             violation(s) of the conduct policy, a member may be removed from                                       chapter, regional, and international events/activities, chapter office,                                     and/or dismissal from Beta Gamma Epsilon Chapter of Phi Theta Kappa                             and may result in ‘member not in good standing’ status.



ARTICLE 10. Finances

Section 1.        Finances for this chapter will be raised by projects voted by a majority of the members. 

Section 2.        The Chapter advisor must receive payment of the International / Regional Membership fee of $60.00 before members can be inducted. 

Section 3.        All members must pay local fees of $15.00.

Section 4.        All members must pay regional fees of $5.00 prior to induction. 
Regional fees are remitted directly to the International Headquarters. 

Section 5.        The advisor shall annually audit financial records of the chapter.


ARTICLE 11.  Amendments and Revision

Section 1.        The by-laws may be amended by a vote of two-thirds of the members present at any regular meeting, provided that the proposed amendment has been presented at a previous meeting.  Any changes to the by-laws must be sent to Headquarters for final approval.


Revised February 7, 2023